Love Dependency Disease

1185 Chapter 1185 Call Me Five

"Here, five strings!"

The owner of the barbecue restaurant thought that Alata asked him for skewers and handed him five skewers.

Alata took it in doubt, and then smelled it, feeling really sweet.

Alata opened his mouth directly and stuffed the skewer into his mouth in one bite, eating all the iron picks together.

"Oh my God……"

The boss scared, this buddy... will not be the terminator!

"Not bad..."

Alata nodded, "Very good, delicious... um..."

Alata suddenly vomited, and his stomach was sorely, like a knife!

" actually poisoned me..."

Alata looked pale and pointed to the boss.

"Guest, you, what\'s wrong with you?"

The boss couldn\'t understand the words of the Titans. He was so scared that he saw the buddy vomiting nonstop.

Although the things I made are not very clean, I have never eaten up!Is this foreigner\'s stomach too weak?That\'s right, it should be so!

The Huaxia people are already innocent, and the foreigners are still far away!

Seeing that Alata kept vomiting, the owner of the barbecue stall couldn\'t control it, and went straight to close the stall.

Alata vomited to the end, even the blood was spit out, he operated the power in the body, constantly adjusted the body, this saved his life!

But this time, Alatan can be scared.

The East... The mysterious East is really terrible!

No, he is Alatan, but he is the first beautiful man of Titan. How could he be stumped by such a little difficulty!

Correct!It must be your current image, which is not in line with the aesthetics of the Orientals!

You have a good foundation, and if you change it a little, you will be able to become a beautiful man in the eyes of these people!

Alata decided to get a bit of human currency first. He tapped aside and found that a man was holding a piece of red paper and handed it to another person, and the other person stuffed him with two packets of cigarettes.

Alata understood that the red paper was the currency of the human world.

He nodded, then shook his hand, and a word of money appeared in his hand.As the first beautiful man in Titan, this little trick can still be done!

Alata took this stack of money and happily looked around for a place where he could change himself.

Finally, he found a hair salon.He found that after many people went in, the image was completely new!

"It must be here!"

Alata immediately walked into the store, and a clerk saw Alata and immediately came to catch people.

"Go around! We have no money for you here!"

This buddy regards Alata as a beggar.Alata didn\'t understand his words at first, but Alata with special power quickly adjusted his frequency and reached the same frequency as the language of the human world. Now he can understand the other party\'s words directly.

When he found out that the other party was going to drive himself away, Alata hurriedly patted the money on the table.

"I want to design myself!"

Seeing such a ladle of money on the table, several people\'s eyes were straight.

"First, wash your hair first, brother."

The manager personally greeted him, bowed to Alata and said, "We are a one-stop washing, blowing and blowing! It also includes hot dyeing, which will ensure that your image will be refreshed!"

"Okay, I\'ll leave it to you!"

Alatan is very satisfied, "Must get me the most handsome look!"


The hair salon here started to be designed in a murky way.

On the other side, Liu Yi is taking Wang Lele and standing in the real estate center of Binhai Avenue.

Wang Lele obediently followed Liu Yi\'s side and couldn\'t help but ask, "Brother Xiao Yi...... Why did you suddenly think of buying a house?"

"Yeah, buy a big house, let\'s live together."

Liu Yi said, "In this way, we can meet every day."


Wang Lele clapped his hands happily, "Then you have to buy a bigger one!"


Liu Yi also had this intention. He waved his hand and shouted to a female salesperson, "Trouble, please ask, what is the largest apartment type here?"

"Oh, you two can\'t afford it."

The female shopping guide pouted and said, "Why don\'t you just look at this apartment type? Small apartment, down payment is also cheap. Large apartment, it\'s not something you can afford."

"Hey, hello, who do you look down on?"

Wang Lele was a little bit unhappy when he heard this, and he said nothing. Why should I say Xiao Yi brother!

"Which eye do you see that we can\'t afford a house?"

"The two of you have lost your temper with me."

The female shopping guide sneered, "I also do it for your good. The large apartment is 30,000 yuan per square meter, and it is not less than 100 square meters. Can you afford it?"

"How much is this single-family three-storey villa?"

Liu Yi kept silent, he finally couldn\'t help but pointed to a model in the lawn next to him and said.

Speaking of the villa, from the model, it is really pretty.Behind the villa is a large swimming pool with artificial beaches around the pool!

And in front of the house, a huge fountain was built, which is unique, with a sculpture of a woman standing in the middle of the fountain.

"This set? Hey!"

The female shopping guide smiled suddenly, and the smiling Wang Lele was not happy again.

"What do you mean by this person? I look down on people!"

"Don\'t talk nonsense, I took the people fairly."

The female shopping guide immediately retorted, "But the two are poor students at first glance, why bother to come here to find me happy? Go away! Go play in the Internet cafe!"

Hearing the urge of the female shopping guide, Liu Yi was still indifferent, but Wang Lele was not happy.

"Brother Xiaoyi, how can she talk like this!"

"I thought she was right."

At this time, a middle-aged man walked over with a woman in a sexy dress.

The middle-aged man wore mink fur, a big gold chain around his neck, and a big gold ring on his finger, a look like an upstart.

Looking at the woman in his arms, wearing a leopard print skirt, the neckline was pulled low, revealing a strong career line.From her, there was a strong fragrance of perfume.Liu Yi, who had been in the Red Scarf Army for a long time, immediately judged that this sister was a lady sitting at night.

"My dear, I like this house."

The woman reached out and pointed to a set of high-level executives.

"Okay, buy buy buy, little money!"

"Huh, your wife lives in the villa, and I want to live in the villa."

"Good, living in a high-rise apartment is also very good, and the high-end apartment here is also very good."

With that said, the local tyrant glanced at the female shopping guide. The female shopping guide quickly followed and said, "Yes, miss, our apartments here are all modern and absolutely satisfy the miss!"

"Then a set!"

The local tyrant took out the bank card, "Unambiguous!"

"Good sir!"

The female shopping guide is very excited, and took a big order in the morning!

She went to go through the formalities, the local tyrant chuckled, then looked at Liu Yi and said, "Little brother, do you now know what is wealthy, is the person poor and short-haired? Little beauty, what do you follow this person It\'s better to follow me. What kind of house do you want to live in, I will buy you what kind of house!"

The local tyrant teased Wang Lele, and the woman next door dared not say anything.

The two are the relationship between money and flesh-body. She can only watch what the local tyrant does.

### Here the page breaks off for quantum chemistry results
-- begin --
# 1
This record from the OMol25 dataset describes a cluster of 4 separate species, C23H39BrF2N5O9S in total in a non-equilibrium geometry. The level of theory is the ωB97M-V functional and the def2-TZVPD basis.

The LUMO energy comes out at -5.15 eV. The max |F| is 9.3 eV/Å. The value obtained for the frontier orbital gap is 6.7 eV. Its total charge is +1. As for the relative energy (zero: lowest compared OMol25 entry of this formula, charge and spin): 0.0 kJ/mol. The molecular weight is 679.558 u. Its energy is -136663.067 eV.

Last column: Mulliken charge in e.
Atoms and positions in Å:
C (-4.464, 4.079, 3.964)  -1.06
C (-3.717, 4.006, 2.535)  -0.21
C (-3.189, 2.491, 2.325)  -0.98
Br (-1.517, 2.305, 3.390)  -0.05
C (-3.053, 2.049, 0.791)  -0.16
C (-1.874, 2.684, -0.117)  -1.11
N (-0.914, 1.626, -0.637)  0.29
S (0.459, 2.121, -1.562)  1.17
O (-0.048, 3.214, -2.490)  -0.59
O (0.982, 1.018, -2.470)  -0.48
F (1.694, 2.773, -0.647)  -0.22
C (-1.284, 0.370, -0.285)  -0.54
C (-0.551, -1.007, -0.618)  -0.67
C (0.627, -1.218, 0.483)  0.39
N (1.767, -1.875, -0.248)  -0.55
N (1.125, 0.084, 1.041)  -0.53
N (0.253, -2.098, 1.628)  -0.59
C (-2.686, 0.502, 0.535)  1.36
N (-3.661, 0.099, -0.566)  -0.68
C (-3.002, -0.569, 1.693)  -0.53
C (-4.558, -0.775, 2.007)  0.30
O (-4.918, -1.876, 2.506)  -0.50
F (-5.585, 0.198, 1.815)  -0.22
H (-4.078, 3.282, 4.714)  0.35
H (-5.599, 3.897, 3.870)  0.27
H (-4.328, 5.091, 4.479)  0.18
H (-4.498, 4.310, 1.737)  0.30
H (-2.856, 4.772, 2.578)  0.25
H (-3.977, 1.814, 2.842)  0.58
H (-4.000, 2.493, 0.298)  0.67
H (-2.131, 3.515, -0.860)  0.39
H (-1.235, 3.261, 0.667)  0.56
H (-1.339, -1.840, -0.440)  0.36
H (-0.146, -1.085, -1.685)  0.39
H (1.370, -2.789, -0.592)  0.38
H (2.430, -2.153, 0.499)  0.31
H (1.347, -0.069, 2.037)  0.27
H (2.026, 0.268, 0.556)  0.24
H (-0.104, -3.006, 1.293)  0.36
H (-0.397, -1.643, 2.288)  0.18
H (-3.739, -0.927, -0.611)  0.35
H (-4.572, 0.560, -0.436)  0.27
H (-2.597, -1.609, 1.375)  0.30
H (-2.492, -0.334, 2.708)  0.27
O (-6.009, 6.469, 3.396)  -0.55
C (-5.202, 7.365, 3.424)  0.51
O (-4.098, 7.421, 2.628)  -0.29
C (-3.305, 8.556, 2.998)  -0.41
C (-4.259, 9.496, 3.697)  -0.52
C (-5.233, 8.544, 4.356)  -0.41
H (-2.498, 8.218, 3.655)  0.27
H (-2.869, 9.006, 2.104)  0.31
H (-3.762, 10.170, 4.397)  0.33
H (-4.786, 10.107, 2.957)  0.27
H (-4.889, 8.227, 5.344)  0.24
H (-6.234, 8.971, 4.416)  0.30
O (2.202, -3.671, -1.869)  -0.64
C (3.061, -3.659, -2.721)  0.38
O (4.142, -4.480, -2.720)  -0.30
C (5.008, -4.126, -3.807)  0.26
C (4.128, -3.400, -4.794)  -0.69
C (3.119, -2.721, -3.894)  -0.28
H (5.812, -3.492, -3.420)  0.25
H (5.447, -5.029, -4.237)  -0.27
H (4.679, -2.709, -5.435)  0.36
H (3.618, -4.123, -5.438)  0.30
H (3.470, -1.744, -3.552)  0.23
H (2.145, -2.633, -4.376)  0.31
O (6.309, -6.572, -5.148)  -0.69
C (6.784, -7.271, -4.286)  0.66
O (7.900, -6.953, -3.578)  -0.35
C (8.245, -8.047, -2.720)  -0.44
C (6.968, -8.832, -2.544)  -0.48
C (6.270, -8.622, -3.870)  -0.42
H (9.032, -8.634, -3.203)  0.28
-- stop --

The local tyrant often slaps with other women in front of her, and she will not react.Anyway, as long as this man pays for himself, she doesn\'t love this man.

But the poor kid looks pretty good.


Wang Lele laughed, "I really like a piece of real estate. If you buy it for me, I will follow you!"

"it is good!"

The local tyrant was overjoyed and quickly asked, "I don\'t know where the real estate you are looking for is beauty! As long as you look at it, I can\'t buy it!"

"I took a fancy to Tiananmen Square, where the feng shui is good, you buy it for me."

In a word, Wang Lele directly killed the local tyrant.Lying trough, Tiananmen Square, what joke did you tell me!

Looking at the dumbfounded local tyrant, Liu Yi couldn\'t help it.This Wang Lele, more and more naughty.

"Brother Xiaoyi, let\'s buy another place."

Wang Lele turned and asked Liu Yi.

"No, just buy it here."

Liu Yi was too lazy to toss, he said, "The villa environment here is pretty good."

He said, beckoning to a younger female shopping guide next to him, "Do we want to do our business?"

"I want it, sir."

The younger female shopping guide immediately came over. She wore a ponytail and wore a black suit. She looked very dignified. "Sir, what type of apartment do you want to buy."

"Just this villa, give me five sets."

Liu Yi wants to buy one set for his parents, and the remaining four sets. One set is for himself and his own women, the other set is reserved for self-reliance and cultivation, and the other two sets are reserved for use.

Anyway, he is a local tyrant, not bad money.

After listening to Liu Yi\'s words, the ponytail froze for a moment.

"You, are you kidding me?"

"He must be joking! This poor and sour guy, where so much money comes from!"

After the local tyrant just finished, Liu Yi had already pulled out a black card and handed it to the ponytail.

"Go and swipe, you need five sets, next to each other."

"Good, sir! I will do it for you!"

Five villas, the commission for one villa is 100,000, and five villas is 500,000!The eyes of other sales around me suddenly turned red!But the woman who had rejected Liu Yi\'s sales before, regretted that her intestines were all green, and she slammed her face vigorously.

The money can make the ghosts grind, and the five villas alarmed the manager and came out to help Liu Yi with the formalities.

The local tyrant\'s girlfriend looked at Liu Yi\'s eyes green, and then looking at the local tyrant was as disgusting as eating a fly.

After buying the villa, Liu Yi took Wang Lele to see the house.It happened that the local tyrant also came out with his girlfriend. The local tyrant did not give up. He patted his Cayenne and said to Wang Lele.

"Beauty, how far have you walked, why not take my car!"

Liu Yi sighed, and said that this buddy is really...finding himself to death!